Contents.
=====
Record 1
DFT (PBE) results for a relaxed NiOs2Pb crystal.

```
NiOs2Pb
1.0
3.981 0.000 0.000
0.000 3.981 0.000
1.990 1.990 9.185
Pb Ni Os
2 2 4
direct
0.000 0.000 0.000
0.750 0.250 0.500
0.500 0.500 0.000
0.250 0.750 0.500
0.540 0.125 0.250
0.210 0.625 0.250
0.375 0.460 0.750
0.875 0.790 0.750
```

Summary:
The value obtained for the formation energy is 0.839 eV per atom. The mass density is 14.75 g cm⁻³. For the final energy, the calculation gives -7.149 eV per atom.

***

Record 2
DFT (PBE) results for a relaxed HfCd2Cu2 crystal.

```
HfCd2Cu2
1.0
3.886 0.000 0.000
0.000 3.886 0.000
1.943 1.943 6.050
Hf Cu Cd
1 2 2
direct
0.000 0.000 0.000
0.406 0.406 0.188
0.594 0.594 0.812
0.750 0.250 0.500
0.250 0.750 0.500
```

Summary:
The value obtained for the formation energy is 0.155 eV per atom. As for the excess energy over the best structure of this formula in the dataset: 53 meV per atom. The mass density is 9.64 g cm⁻³. For the final energy, the calculation gives -3.840 eV per atom.

***

Copy entry 2 word for word.
DFT (PBE) results for a relaxed HfCd2Cu2 crystal.

```
HfCd2Cu2
1.0
3.886 0.000 0.000
0.000 3.886 0.000
1.943 1.943 6.050
Hf Cu Cd
1 2 2
direct
0.000 0.000 0.000
0.406 0.406 0.188
0.594 0.594 0.812
0.750 0.250 0.500
0.250 0.750 0.500
```

Summary:
The value obtained for the formation energy is 0.155 eV per atom. As for the excess energy over the best structure of this formula in the dataset: 53 meV per atom. The mass density is 9.64 g cm⁻³. For the final energy, the calculation gives -3.840 eV per atom.

***

Question: Among the records above, which one has the lowest mass density?
Answer: HfCd2Cu2

***

Question: What is the formula in the first record?
Answer: NiOs2Pb
=====
What to do.
Now quote the notes earlier on from the first line to the one with "0.000 3.981" character by character.
Outcome.
Record 1
DFT (PBE) results for a relaxed NiOs2Pb crystal.

```
NiOs2Pb
1.0
3.981 0.000 0.000
0.000 3.981 0.000